[Listing]
'''
{"formula": "C7H6NO5P", "method": "the ωB97M-V functional and the def2-TZVPD basis", "symbols": ["C", "C", "C", "C", "C", "C", "C", "N", "O", "O", "O", "O", "O", "P", "H", "H", "H", "H", "H", "H"], "coordinates": [[-2.49997, 0.70910, -0.07746], [-1.67610, -0.01256, -0.91966], [-2.02832, 0.75664, 1.24038], [-0.73241, -0.92177, -0.54914], [-0.87122, -0.10473, 1.80100], [-0.19583, -0.77672, 0.89872], [1.41820, 0.07099, -1.07238], [1.67131, 1.37640, -0.65309], [1.85905, 2.28727, -1.46467], [2.23128, -2.54205, -0.70492], [0.70993, -1.53532, 1.04915], [1.64035, 1.49722, 0.54386], [3.20580, -0.49894, 0.72492], [2.14820, -1.15278, -0.08217], [-3.32711, 1.36656, -0.26445], [-1.70143, 0.18140, -1.97049], [-2.60684, 1.23375, 2.00205], [-0.22075, -1.54364, -1.20378], [-0.59748, -0.32927, 2.83916], [1.57335, -0.06157, -2.13703]], "forces_ev_per_angstrom": [[1.9, 0.9, 3.8], [-0.3, -1.3, -2.4], [1.2, -2.7, 1.5], [-0.9, 3.6, 3.8], [-4.2, 3.3, 0.1], [-6.4, 0.5, -6.3], [1.5, 0.9, -1.5], [-0.8, -3.6, -1.4], [0.2, 1.6, -0.8], [0.3, 1.6, 0.1], [8.5, -4.4, 2.2], [-0.2, 2.2, 2.6], [0.6, -1.3, 0.6], [0.0, -1.8, 0.3], [-0.2, 0.1, -0.8], [-0.7, -0.2, -1.0], [-0.4, 0.6, 0.4], [0.6, -1.0, -0.9], [-0.3, 1.0, -0.2], [-0.3, 0.0, -0.1]], "charge": -2, "homo_lumo_gap_ev": 5.8, "homo_energy_ev": 0.450, "smiles": "O=[N+]([O-])C=P([O-])([O-])Oc1ccccc1"}

---
'''

[Request]
The reader should count the lines earlier on that contain the word "basis" and give the number alone.

[Reply]
1